Apartment Living in Sydney Set to Skyrocket

Owning a home once remained a priority within the hearts of Australians, recent societal findings reveal that it is no longer a requirement for many.

Demanding lifestyles including raising children, working, studying and fulfilling many other daily routines has created a culture where time is of the essence.

As the shift to apartment living increases, strata title developers are increasingly creating convenient, cost-effective and aesthetically pleasing designs for consumers. With developments such as Barangaroo and the Toga Group apartments within Chatswood and West Ryde, increased apartment style living is inevitable. 

Please click here to read the full article – Satellite Cities will be the Future for Metropolitan Areas

We Wish You a Safe & Happy Festive Season!

From the entire JS Mueller & Co team we wish you a Safe and Happy Festive Season!

We are taking a short break from the 23rd December 2014 and returning on the 12th January 2015.

For NSW strata legal or levy collection advice please contact us here or call 02 9562 1266 and leave a message and we will get back to you on our return.

Owners Corporations’ Rights Vindicated

Last week the NSW Court of Appeal delivered two victories for owners corporations and in the process clarified the operation of important areas of the strata legislation.

Misplaced calculated molecules:
........
(1)
........

The two victories involved:

  • Access Rights Being Confirmed – The Connaught Case
  • The Right to Start Legal Action Being Confirmed – The Gazebo Apartments Case

Click here to read these strata legal cases – Owners Corporation Rights Vindicated

For NSW strata legal or levy collection advice please contact us here or call 02 9562 1266, we’re happy to assist.

Home Building Amendment Act NSW 2014 Delayed

Fair Trading NSW has confirmed that the 1 December 2014 commencement date for the NSW Home Building Amendment Act 2014 has been delayed to 2015.

The amendments will commence in two stages:

Stage 1:
It is anticipated that the critical change surrounding statutory warranties will commence mid-January 2015. The critical change to the warranties will be a shift from “structural defect” (which is the current position) to a warranty which will only cover a building defect which is a “major defect”.

If the defect is categorised as a “major defect” it will enjoy a 6 year warranty otherwise any defect which is not a major defect and/or a non-major item will only have a warranty for 2 years. The new definition of “major defect” will be more restrictive than the current definition of a “structural defect”. The new amendments will have retrospective effect.

Stage 1 will also have other amendments commencing mid January 2015 and they are as follows:

  1. For the first time, statutory warranties will be implied into subcontracts entered into by the principal contractor who undertakes residential building work. These changes will allow an owners corporation to enforce warranties as a successor in title against subcontractors.
  2. If a defect arises due to an owners defective design or specification the builder will not be held liable for that defect.
  3. Within 6 months the owner must notify the builder and the subcontractor of a defect. If the owner fails to do so such a failure may result in the reduction of any damages.
  4. Owners must not unreasonably refuse access to a builder who wishes to rectify the defect.
  5. Courts will be required to give priority to rectification orders as opposed to monetary orders.

Stage 2:
This stage will involve the provisions that relate to re-drafting of contracts. The contracts will have to comply with the amending legislation hence these will be dealt with in the second quarter of 2015.

For NSW strata legal or levy collection advice please contact us here or call 02 9562 1266, we’re happy to assist.

NSW Building Legislation Changes – 39 Days!

1 December 2014 the home building legislation in NSW will change. The changes to the legislation may mean that some owners corporations will lose all of their rights to make claims for building defects.

  • 39 Days until 1 December 2014!
  • Do not get caught out! 
  • The time to act is now!
  • Have your buildings inspected by a building consultant to check for defects!
  • Avoid losing your rights to make a building defect claim!

At JS Mueller & Co we work with a number of reputable building consultants and engineers. We can organise a building inspection for any building that you manage to check for defects before the 1 December deadline.

But you must act quickly otherwise you may run out of time. If you would like to discuss the changes to the NSW home building legislation or have JS Mueller & Co organise a building inspection, please contact us now.

For NSW strata legal or levy collection advice please contact us here or call 02 9562 1266, we’re happy to assist.

Strata Renovations and Applications

Does an owners corporation have to approve development applications and renovations?

Strata buildings are becoming older. This has given rise to an increasing number of renovations that are carried out in strata buildings. This, in turn, has resulted in more owners corporations and strata managers being asked to approve development applications, and building works associated with renovations.

Often requests for development applications or building works to be approved are made urgently and owners corporations and strata managers are threatened with legal action if approval is not given promptly. But does an owners corporation have to approve a development application or allow an owner to renovate his or her unit?

What happens if the owners corporation refuses to approve a development application or permit renovations? Can the owners corporation’s decision be overturned? If so, how? This paper will provide the answers to these questions.

Click here for the full paper – Strata Applications and Renovations

For NSW strata legal or levy collection advice please contact us here or call 02 9562 1266, we’re happy to assist.

Strata By-laws Differ Across State Boundaries

Historically, with each of the individual states and territories throughout Australia having their own strata legislation, the downside has been that the lack of national uniformity has presented significant challenges with interpretation and enforcement of the relevant legislation across different jurisdictions.

There are currently three principal jurisdictions throughout Australia − New South Wales, Victoria and Queensland − each having introduced strata laws during the 1960s, with New South Wales leading the way in 1961. However, over the decades, each of the states has replaced and consolidated legislation at differing times, with regular, ongoing reviews of strata and community legislation taking place at a different pace across the country as governments endeavour to harmonise communal living environments and address issues which arise as communal living density increases.

Three law firms in these principal state-based jurisdictions have formed an alliance, aptly named Strata Lawyers Australia, comprising one law firm from each state which specialises in the practice of strata and community title law. The purpose of this alliance is to combine the local expertise of each firm in order to provide a quality, nation-wide legal service which will maximise the effectiveness of strata law services for stakeholders in the strata industry in each state.

Sydney-based firm, JS Mueller & Co, is an active member of this strategic alliance and draws on local expertise to provide industry-leading legal services and advice, enabling them to operate across state borders and provide the most relevant and comprehensive legal service possible.

Recent developments within the strata industry across the country have meant that the implementation of a national alliance of strata law firms will have a direct and meaningful impact on the efficiency and delivery of legal services in this industry. Indeed industry growth and consolidation have seen an emerging trend of strata management businesses operating across multiple jurisdictions.

A number of other states and territories, particularly the ACT, have recognised the need to modernise regulatory arrangements for the strata sector and are keen to see the various jurisdictions brought into line.

JS Mueller & Co strata lawyer, Adrian Mueller, says that, for example, “ACT strata laws are quite different from strata laws in other jurisdictions. The ACT Unit Titles Management Act has some unique provisions”.

Adrian’s extensive expertise has seen him deliver ground-breaking papers and seminars to strata lawyers and managers throughout the country − a definite asset to the services offered by the Strata Lawyers Australia alliance.

It is Adrian’s recommendation that comprehensive legal advice is always obtained from a specialist in the relevant jurisdiction when dealing with contentious strata issues, particularly in light of the significant variations nation-wide.

National consolidation in the strata industry will see growth in the number of strata management businesses and law firms operating across borders including through strategic alliances such as Strata Lawyers Australia. And consolidation of national licensing is expected to bolster confidence among strata managers and make strata communities a more viable option for our ever-expanding population density, but will almost certainly require continual monitoring and ongoing legislative reform well into the foreseeable future.

For NSW strata legal or levy collection advice please contact us here or call 02 9562 1266, we’re happy to assist.